## What to do
Find "2θ/deg" and "0.4353 0.9891" in the material further down, and return these two lines and those between.

## File
-- begin --
Simulated powder XRD pattern
Compound: LiMnVP2H2O10
Radiation: Cu Kα X-rays
Structure: a DFT-relaxed cell (PBE+U, the Materials Project)
Intensities are scaled so that the largest is 1000.

Peak list (8 most intense, 2θ from 15° to 90°, by angle)
| 2θ/deg | intensity |
| --- | --- |
| 17.89 | 471 |
| 18.18 | 471 |
| 18.89 | 577 |
| 24.95 | 390 |
| 26.11 | 681 |
| 27.30 | 1000 |
| 29.75 | 747 |
| 35.72 | 401 |

Atomic structure:
Unit cell a=7.3519 b=8.1184 c=10.1121 alpha=111.23 beta=103.40 gamma=94.72
Space group P1 (No. 1)
Asymmetric unit:
Li: 0.0000 0.0000 0.0000
Li: 0.0224 0.5322 0.3256
Li: 0.6679 0.3353 0.6674
Mn: 0.0136 0.7679 0.1638
Mn: 0.3465 0.4343 0.4965
Mn: 0.6717 0.0988 0.8286
V: 0.1842 0.6001 0.8287
V: 0.5105 0.2656 0.1627
V: 0.8434 0.9318 0.4959
P: 0.0976 0.3567 0.0223
P: 0.2549 0.8429 0.6367
P: 0.4333 0.0238 0.3558
P: 0.5945 0.5106 0.9705
P: 0.7697 0.6898 0.6880
P: 0.9244 0.1765 0.3038
H: 0.1065 0.3217 0.5917
H: 0.2681 0.8685 0.0725
H: 0.4353 0.9891 0.9255
H: 0.5849 0.5434 0.4004
H: 0.7562 0.6638 0.2527
H: 0.9304 0.2021 0.7407
O: 0.0974 0.9544 0.6035
O: 0.1073 0.3916 0.8816
O: 0.1152 0.3030 0.3393
O: 0.1210 0.5279 0.1573
O: 0.1426 0.7900 0.0130
O: 0.2154 0.4238 0.6455
O: 0.2205 0.6663 0.5045
O: 0.2380 0.9099 0.3216
O: 0.2441 0.8113 0.7802
O: 0.2480 0.2380 0.0539
O: 0.4352 0.6209 0.9382
O: 0.4450 0.0556 0.2125
O: 0.4505 0.9553 0.6698
O: 0.4678 0.2000 0.4884
O: 0.4756 0.4413 0.3466
O: 0.5446 0.0907 0.9786
O: 0.5711 0.3399 0.8349
O: 0.5767 0.5689 0.6564
O: 0.5792 0.4733 0.1104
O: 0.5904 0.9119 0.3892
O: 0.7739 0.2950 0.2720
O: 0.7740 0.7182 0.5432
O: 0.7879 0.6299 0.0083
O: 0.8051 0.1234 0.6800
O: 0.8045 0.8675 0.8188
O: 0.8815 0.7422 0.3126
O: 0.9012 0.0050 0.1690
O: 0.9068 0.2290 0.9852
O: 0.9154 0.1428 0.4449
O: 0.9180 0.5702 0.7208

=====

Entry 1:
Structure and calculated X-ray powder pattern of Y4CdAg2 (a crystal structure in Alexandria, relaxed with PBE; Cu Kα, 1.54184 Å).

Main lines, in order of falling intensity (2θ from 10° to 90°):
index, d (Å), I (rel.)
1 1 0, 2.509, 1000
1 0 10, 2.351, 522
1 0 1, 4.294, 380
0 1 5, 3.431, 218
2 1 10, 1.416, 197
0 2 10, 1.715, 192
0 1 11, 2.194, 189
1 0 7, 2.940, 172
3 0 0, 1.448, 170
1 0 4, 3.690, 155

Atomic structure:
```
data_Y4CdAg2
_cell_length_a 5.0177
_cell_length_b 5.0177
_cell_length_c 27.9519
_cell_angle_alpha 90.00
_cell_angle_beta 90.00
_cell_angle_gamma 120.00
_space_group_name_H-M_alt 'R -3 m'
_space_group_IT_number 166
_space_group_name_Hall '-R 3 2"'
loop_
_atom_site_label
_atom_site_type_symbol
_atom_site_fract_x
_atom_site_fract_y
_atom_site_fract_z
Y1 Y 0.0000 0.0000 0.1206
Y2 Y 0.0000 0.0000 0.2942
Cd1 Cd 0.0000 0.0000 0.5000
Ag1 Ag 0.0000 0.0000 0.4009
```

***

Entry 2:
Structure and calculated X-ray powder pattern of Y3Cd3Ag (a crystal structure in Alexandria, relaxed with PBE; Cu Kα, 1.54184 Å).

Main lines, in order of falling intensity (2θ from 10° to 90°):
index, d (Å), I (rel.)
1 1 2, 2.763, 1000
0 1 7, 2.517, 916
0 2 0, 2.452, 494
1 0 5, 2.680, 453
2 1 7, 1.447, 307
1 2 5, 1.809, 273
1 1 6, 2.198, 272
1 3 2, 1.469, 213
1 1 4, 2.504, 195
1 0 1, 3.487, 193

Atomic structure:
```
data_Y3Cd3Ag
_cell_length_a 3.5381
_cell_length_b 4.9031
_cell_length_c 20.5300
_cell_angle_alpha 90.00
_cell_angle_beta 90.00
_cell_angle_gamma 90.00
_space_group_name_H-M_alt 'I m m 2'
_space_group_IT_number 44
loop_
_space_group_symop_operation_xyz
'x,y,z'
'-x,-y,z'
'-x,y,z'
'x,-y,z'
'x+1/2,y+1/2,z+1/2'
'-x+1/2,-y+1/2,z+1/2'
'-x+1/2,y+1/2,z+1/2'
'x+1/2,-y+1/2,z+1/2'
loop_
_atom_site_label
_atom_site_type_symbol
_atom_site_fract_x
_atom_site_fract_y
_atom_site_fract_z
Y1 Y 0.0000 0.0000 0.0000
Y2 Y 0.0000 0.0000 0.3952
Y3 Y 0.0000 0.5000 0.2049
Cd1 Cd 0.0000 0.0000 0.5557
Cd2 Cd 0.0000 0.0000 0.8427
Cd3 Cd 0.0000 0.5000 0.6332
Ag1 Ag 0.0000 0.5000 0.7680
```

***

Entry 3:
Structure and calculated X-ray powder pattern of Zn2Cd2Ag7 (a crystal structure in Alexandria, relaxed with PBE; Cu Kα, 1.54184 Å).

Main lines, in order of falling intensity (2θ from 10° to 90°):
-- stop --

## Completed
| 2θ/deg | intensity |
| --- | --- |
| 17.89 | 471 |
| 18.18 | 471 |
| 18.89 | 577 |
| 24.95 | 390 |
| 26.11 | 681 |
| 27.30 | 1000 |
| 29.75 | 747 |
| 35.72 | 401 |

Atomic structure:
Unit cell a=7.3519 b=8.1184 c=10.1121 alpha=111.23 beta=103.40 gamma=94.72
Space group P1 (No. 1)
Asymmetric unit:
Li: 0.0000 0.0000 0.0000
Li: 0.0224 0.5322 0.3256
Li: 0.6679 0.3353 0.6674
Mn: 0.0136 0.7679 0.1638
Mn: 0.3465 0.4343 0.4965
Mn: 0.6717 0.0988 0.8286
V: 0.1842 0.6001 0.8287
V: 0.5105 0.2656 0.1627
V: 0.8434 0.9318 0.4959
P: 0.0976 0.3567 0.0223
P: 0.2549 0.8429 0.6367
P: 0.4333 0.0238 0.3558
P: 0.5945 0.5106 0.9705
P: 0.7697 0.6898 0.6880
P: 0.9244 0.1765 0.3038
H: 0.1065 0.3217 0.5917
H: 0.2681 0.8685 0.0725
H: 0.4353 0.9891 0.9255